Material =
+++
# 1
A relaxed PuGa6 crystal. Source: the Materials Project, functional PBE-GGA.

## Properties
ΔE_f: -0.22 eV per atom
E: -4.849 eV per atom
Crystal system: tetragonal

Cell: 5.8935 5.8935 7.6876 Å, 90.00 90.00 90.00°
Last column: nearest neighbours and their distance in Å.
Sites, in units of the cell vectors:
Pu 0.2500 0.7500 0.0000  12 Ga 3.10-3.18
Pu 0.7500 0.2500 0.0000  12 Ga 3.10-3.18
Ga 0.0661 0.5661 0.3499  3 Ga 2.56-2.62
Ga 0.0661 0.9339 0.6501  3 Ga 2.56-2.62
Ga 0.2500 0.2500 0.1570  5 Ga 2.41-2.62
Ga 0.2500 0.2500 0.8430  5 Ga 2.41-2.62
Ga 0.4339 0.5661 0.6501  3 Ga 2.56-2.62
Ga 0.4339 0.9339 0.3499  3 Ga 2.56-2.62
Ga 0.5661 0.0661 0.6501  3 Ga 2.56-2.62
Ga 0.5661 0.4339 0.3499  3 Ga 2.56-2.62
Ga 0.7500 0.7500 0.1570  5 Ga 2.41-2.62
Ga 0.7500 0.7500 0.8430  5 Ga 2.41-2.62
Ga 0.9339 0.0661 0.3499  3 Ga 2.56-2.62
Ga 0.9339 0.4339 0.6501  3 Ga 2.56-2.62

# 2
A relaxed Na3LaZr3P6O24 crystal. Source: the Materials Project, functional PBE-GGA.

## Properties
ΔE_f: -3.13 eV per atom
E: -7.700 eV per atom
Crystal system: triclinic

Cell: 9.0831 9.1252 23.4369 Å, 90.18 90.02 119.71°
Last column: nearest neighbours and their distance in Å.
Sites, in units of the cell vectors:
Na 0.0000 0.0000 0.0000  3 O 2.47-2.51
Na 0.0128 0.0131 0.4995  6 O 2.49-2.74
Na 0.3199 0.6524 0.1615  5 O 2.57-2.84
Na 0.3337 0.6513 0.6625  6 O 2.64-2.86
Na 0.3712 0.0046 0.7464  3 O 2.34-2.39
Na 0.6469 0.0068 0.2428  3 O 2.29-2.51
Na 0.6662 0.3348 0.3252  6 O 2.60-2.78
Na 0.6807 0.3475 0.8325  6 O 2.58-2.75
Na 0.7029 0.6730 0.4126  3 O 2.35-2.39
La 0.0177 0.0127 0.3516  6 O 2.25-2.46
La 0.6662 0.3458 0.1715  6 O 2.30-2.43
La 0.6779 0.3462 0.6813  6 O 2.29-2.46
Zr 0.0032 0.9996 0.1432  6 O 2.10-2.16
Zr 0.3230 0.6603 0.3102  6 O 2.09-2.17
Zr 0.3312 0.6708 0.5171  6 O 2.05-2.09
Zr 0.3330 0.6592 0.8122  6 O 2.06-2.19
Zr 0.3355 0.6699 0.0111  6 O 2.07-2.10
Zr 0.6653 0.3314 0.9790  6 O 2.09-2.18
Zr 0.6657 0.3249 0.4803  6 O 2.06-2.19
Zr 0.9951 0.9988 0.6435  6 O 2.10-2.15
Zr 0.9968 0.0010 0.8540  6 O 2.07-2.13
P 0.0062 0.2995 0.2446  4 O 1.52-1.57
P 0.0109 0.7224 0.7504  4 O 1.52-1.58
P 0.0323 0.6494 0.4162  4 O 1.52-1.57
P 0.0388 0.3772 0.9130  4 O 1.52-1.57
P 0.2753 0.2855 0.7493  4 O 1.53-1.57
P 0.2987 0.9899 0.2444  4 O 1.52-1.57
P 0.3382 0.9620 0.9111  4 O 1.53-1.57
P 0.3484 0.3885 0.4172  4 O 1.52-1.57
P 0.3559 0.3317 0.0757  4 O 1.52-1.57
P 0.3633 0.0349 0.5819  4 O 1.52-1.57
P 0.6108 0.9575 0.4138  4 O 1.53-1.57
P 0.6255 0.6619 0.9132  4 O 1.52-1.57
P 0.6684 0.0293 0.0791  4 O 1.52-1.57
P 0.6707 0.6385 0.5764  4 O 1.52-1.57
P 0.6986 0.7082 0.2499  4 O 1.52-1.58
P 0.7052 0.9875 0.7496  4 O 1.53-1.58
P 0.9701 0.3299 0.5784  4 O 1.52-1.56
P 0.9723 0.6407 0.0761  4 O 1.52-1.57
O 0.0004 0.7996 0.4174  1 P 1.53
O 0.0042 0.8203 0.8026  1 P 1.53
O 0.0188 0.1988 0.9067  1 P 1.55
O 0.0233 0.2020 0.1921  1 P 1.57
O 0.0254 0.8247 0.6953  1 P 1.56
O 0.1245 0.6425 0.3606  1 P 1.57
O 0.1264 0.4868 0.8590  1 P 1.57
O 0.1390 0.6605 0.4679  1 P 1.52
O 0.1501 0.4792 0.5682  1 P 1.54
O 0.1514 0.4643 0.9642  1 P 1.52
O 0.1514 0.6722 0.0623  1 P 1.54
O 0.1720 0.4741 0.2497  1 P 1.56
O 0.1737 0.1993 0.6940  1 P 1.56
O 0.1795 0.9835 0.9061  1 P 1.55
O 0.1800 0.1816 0.8016  1 P 1.53
O 0.1803 0.7144 0.7534  1 P 1.58
O 0.1823 0.1655 0.0805  1 P 1.56
O 0.1870 0.0235 0.5844  1 P 1.55
O 0.1883 0.9811 0.1920  1 P 1.56
O 0.1957 0.2122 0.4204  1 P 1.52
O 0.2264 0.0139 0.2997  1 P 1.52
O 0.2963 0.4663 0.7533  1 P 1.57
O 0.3025 0.8196 0.2479  1 P 1.57
O 0.3138 0.8471 0.9616  1 P 1.53
O 0.3270 0.4809 0.0623  1 P 1.54
O 0.3356 0.8562 0.5700  1 P 1.55
O 0.3459 0.4911 0.4681  1 P 1.52
O 0.3590 0.4882 0.3613  1 P 1.57
O 0.3607 0.8778 0.8557  1 P 1.57
O 0.4484 0.2934 0.7484  1 P 1.54
O 0.4491 0.3731 0.1323  1 P 1.52
O 0.4564 0.0948 0.6388  1 P 1.52
O 0.4620 0.3094 0.0272  1 P 1.57
O 0.4678 0.1579 0.5322  1 P 1.57
O 0.4837 0.1336 0.2398  1 P 1.54
O 0.4981 0.1379 0.9196  1 P 1.55
O 0.5084 0.8495 0.4642  1 P 1.53
O 0.5134 0.6391 0.8594  1 P 1.57
O 0.5133 0.8741 0.3570  1 P 1.57
+++

What to do =
Find the line further up that holds "0.9339 0.0661", then reproduce that line and all lines after it there.

Done =
Ga 0.9339 0.0661 0.3499  3 Ga 2.56-2.62
Ga 0.9339 0.4339 0.6501  3 Ga 2.56-2.62

# 2
A relaxed Na3LaZr3P6O24 crystal. Source: the Materials Project, functional PBE-GGA.

## Properties
ΔE_f: -3.13 eV per atom
E: -7.700 eV per atom
Crystal system: triclinic

Cell: 9.0831 9.1252 23.4369 Å, 90.18 90.02 119.71°
Last column: nearest neighbours and their distance in Å.
Sites, in units of the cell vectors:
Na 0.0000 0.0000 0.0000  3 O 2.47-2.51
Na 0.0128 0.0131 0.4995  6 O 2.49-2.74
Na 0.3199 0.6524 0.1615  5 O 2.57-2.84
Na 0.3337 0.6513 0.6625  6 O 2.64-2.86
Na 0.3712 0.0046 0.7464  3 O 2.34-2.39
Na 0.6469 0.0068 0.2428  3 O 2.29-2.51
Na 0.6662 0.3348 0.3252  6 O 2.60-2.78
Na 0.6807 0.3475 0.8325  6 O 2.58-2.75
Na 0.7029 0.6730 0.4126  3 O 2.35-2.39
La 0.0177 0.0127 0.3516  6 O 2.25-2.46
La 0.6662 0.3458 0.1715  6 O 2.30-2.43
La 0.6779 0.3462 0.6813  6 O 2.29-2.46
Zr 0.0032 0.9996 0.1432  6 O 2.10-2.16
Zr 0.3230 0.6603 0.3102  6 O 2.09-2.17
Zr 0.3312 0.6708 0.5171  6 O 2.05-2.09
Zr 0.3330 0.6592 0.8122  6 O 2.06-2.19
Zr 0.3355 0.6699 0.0111  6 O 2.07-2.10
Zr 0.6653 0.3314 0.9790  6 O 2.09-2.18
Zr 0.6657 0.3249 0.4803  6 O 2.06-2.19
Zr 0.9951 0.9988 0.6435  6 O 2.10-2.15
Zr 0.9968 0.0010 0.8540  6 O 2.07-2.13
P 0.0062 0.2995 0.2446  4 O 1.52-1.57
P 0.0109 0.7224 0.7504  4 O 1.52-1.58
P 0.0323 0.6494 0.4162  4 O 1.52-1.57
P 0.0388 0.3772 0.9130  4 O 1.52-1.57
P 0.2753 0.2855 0.7493  4 O 1.53-1.57
P 0.2987 0.9899 0.2444  4 O 1.52-1.57
P 0.3382 0.9620 0.9111  4 O 1.53-1.57
P 0.3484 0.3885 0.4172  4 O 1.52-1.57
P 0.3559 0.3317 0.0757  4 O 1.52-1.57
P 0.3633 0.0349 0.5819  4 O 1.52-1.57
P 0.6108 0.9575 0.4138  4 O 1.53-1.57
P 0.6255 0.6619 0.9132  4 O 1.52-1.57
P 0.6684 0.0293 0.0791  4 O 1.52-1.57
P 0.6707 0.6385 0.5764  4 O 1.52-1.57
P 0.6986 0.7082 0.2499  4 O 1.52-1.58
P 0.7052 0.9875 0.7496  4 O 1.53-1.58
P 0.9701 0.3299 0.5784  4 O 1.52-1.56
P 0.9723 0.6407 0.0761  4 O 1.52-1.57
O 0.0004 0.7996 0.4174  1 P 1.53
O 0.0042 0.8203 0.8026  1 P 1.53
O 0.0188 0.1988 0.9067  1 P 1.55
O 0.0233 0.2020 0.1921  1 P 1.57
O 0.0254 0.8247 0.6953  1 P 1.56
O 0.1245 0.6425 0.3606  1 P 1.57
O 0.1264 0.4868 0.8590  1 P 1.57
O 0.1390 0.6605 0.4679  1 P 1.52
O 0.1501 0.4792 0.5682  1 P 1.54
O 0.1514 0.4643 0.9642  1 P 1.52
O 0.1514 0.6722 0.0623  1 P 1.54
O 0.1720 0.4741 0.2497  1 P 1.56
O 0.1737 0.1993 0.6940  1 P 1.56
O 0.1795 0.9835 0.9061  1 P 1.55
O 0.1800 0.1816 0.8016  1 P 1.53
O 0.1803 0.7144 0.7534  1 P 1.58
O 0.1823 0.1655 0.0805  1 P 1.56
O 0.1870 0.0235 0.5844  1 P 1.55
O 0.1883 0.9811 0.1920  1 P 1.56
O 0.1957 0.2122 0.4204  1 P 1.52
O 0.2264 0.0139 0.2997  1 P 1.52
O 0.2963 0.4663 0.7533  1 P 1.57
O 0.3025 0.8196 0.2479  1 P 1.57
O 0.3138 0.8471 0.9616  1 P 1.53
O 0.3270 0.4809 0.0623  1 P 1.54
O 0.3356 0.8562 0.5700  1 P 1.55
O 0.3459 0.4911 0.4681  1 P 1.52
O 0.3590 0.4882 0.3613  1 P 1.57
O 0.3607 0.8778 0.8557  1 P 1.57
O 0.4484 0.2934 0.7484  1 P 1.54
O 0.4491 0.3731 0.1323  1 P 1.52
O 0.4564 0.0948 0.6388  1 P 1.52
O 0.4620 0.3094 0.0272  1 P 1.57
O 0.4678 0.1579 0.5322  1 P 1.57
O 0.4837 0.1336 0.2398  1 P 1.54
O 0.4981 0.1379 0.9196  1 P 1.55
O 0.5084 0.8495 0.4642  1 P 1.53
O 0.5134 0.6391 0.8594  1 P 1.57
O 0.5133 0.8741 0.3570  1 P 1.57